• Wanted:
Retype the whole of the data below unchanged.

• Material:
- - -
The following is a theoretical powder X-ray diffraction pattern of LiPmY2Tl4. It was derived from a GGA-PBE-relaxed structure, using Cu Kα.
Neutral-atom scattering factors, no anomalous dispersion.

Most intense lines, 2θ = 10–90°, sorted by position:
hkl 1 0 4, 23.6 deg, intensity 39; hkl 0 1 8, 33.2 deg, intensity 100; hkl 1 1 0, 34.0 deg, intensity 96; hkl 2 0 8, 48.3 deg, intensity 35; hkl 1 0 16, 58.8 deg, intensity 18; hkl 1 2 8, 60.4 deg, intensity 36; hkl 3 0 0, 60.9 deg, intensity 18; hkl 2 2 0, 71.6 deg, intensity 11; hkl 2 1 16, 79.9 deg, intensity 15; hkl 3 1 8, 81.3 deg, intensity 16

Crystal structure
```
data_LiPmY2Tl4
_space_group_name_H-M_alt 'R -3 m'
_space_group_IT_number 166
_space_group_name_Hall '-R 3 2"'
_cell_length_a 5.2706
_cell_length_b 5.2706
_cell_length_c 26.7392
_cell_angle_alpha 90.00
_cell_angle_beta 90.00
_cell_angle_gamma 120.00
loop_
_atom_site_label
_atom_site_fract_x
_atom_site_fract_y
_atom_site_fract_z
_atom_site_occupancy
Li1 0.0000 0.0000 0.0000 1
Pm1 0.0000 0.0000 0.5000 1
Y1 0.0000 0.0000 0.2550 1
Tl1 0.0000 0.0000 0.1219 1
Tl2 0.0000 0.0000 0.3723 1
```

~~~~~

1.
The following is a computed powder diffraction line list of In10PdSe10. It was derived from the PBE geometry in OQMD, using a wavelength of 1.5418 Å.

Atomic structure:
Cell lengths 12.0588, 12.5676, 7.7618 Å; angles 90.00, 90.00, 90.00 degrees
Sites, in units of the cell vectors:
In: 0.0000 0.0000 0.2372
In: 0.0000 0.0000 0.7628
In: 0.1196 0.4117 0.2518
In: 0.1196 0.4117 0.7482
In: 0.1458 0.7216 0.0000
In: 0.1632 0.6461 0.5000
In: 0.3368 0.1461 0.5000
In: 0.3542 0.2216 0.0000
In: 0.3804 0.9117 0.2518
In: 0.3804 0.9117 0.7482
In: 0.5000 0.5000 0.2372
In: 0.5000 0.5000 0.7628
In: 0.6196 0.0883 0.2518
In: 0.6196 0.0883 0.7482
In: 0.6458 0.7784 0.0000
In: 0.6632 0.8539 0.5000
In: 0.8368 0.3539 0.5000
In: 0.8542 0.2784 0.0000
In: 0.8804 0.5883 0.2518
In: 0.8804 0.5883 0.7482
Pd: 0.0000 0.5000 0.5000
Pd: 0.5000 0.0000 0.5000
Se: 0.0722 0.2702 0.0000
Se: 0.1114 0.1151 0.5000
Se: 0.1704 0.8253 0.2858
Se: 0.1704 0.8253 0.7142
Se: 0.2260 0.5323 0.0000
Se: 0.2740 0.0323 0.0000
Se: 0.3296 0.3253 0.2858
Se: 0.3296 0.3253 0.7142
Se: 0.3886 0.6151 0.5000
Se: 0.4278 0.7702 0.0000
Se: 0.5722 0.2298 0.0000
Se: 0.6114 0.3849 0.5000
Se: 0.6704 0.6747 0.2858
Se: 0.6704 0.6747 0.7142
Se: 0.7260 0.9677 0.0000
Se: 0.7740 0.4677 0.0000
Se: 0.8296 0.1747 0.2858
Se: 0.8296 0.1747 0.7142
Se: 0.8886 0.8849 0.5000
Se: 0.9278 0.7298 0.0000

Principal peaks in the range 2θ from 5° to 70°, low angle first:
hkl	d [Å]	2θ/deg	I (rel.)
2 2 1	3.795	23.44	21
2 3 0	3.439	25.91	33
1 2 2	3.185	28.02	100
4 1 0	2.932	30.49	29
0 4 1	2.912	30.70	25
4 2 0	2.720	32.92	20
3 3 2	2.323	38.77	38
1 5 2	2.078	43.55	41
5 1 2	2.022	44.83	38
0 0 4	1.940	46.82	30

=====

2.
The following is a computed powder diffraction line list of Cu2Ag3. It was derived from the PBE geometry in OQMD, using a wavelength of 1.5418 Å.

Atomic structure:
Cell lengths 4.7988, 2.8546, 11.4441 Å; angles 90.00, 95.22, 90.00 degrees
Sites, in units of the cell vectors:
Cu: 0.1012 0.0000 0.2917
Cu: 0.2069 0.5000 0.1110
Cu: 0.7931 0.5000 0.8890
Cu: 0.8988 0.0000 0.7083
Ag: 0.0000 0.5000 0.5000
Ag: 0.2756 0.0000 0.9126
Ag: 0.3994 0.5000 0.7075
Ag: 0.5000 0.0000 0.5000
Ag: 0.6006 0.5000 0.2925
Ag: 0.7244 0.0000 0.0874

Principal peaks in the range 2θ from 5° to 70°, low angle first:
hkl	d [Å]	2θ/deg	I (rel.)
1 0 -4	2.552	35.17	7
2 0 1	2.297	39.22	51
1 1 -2	2.290	39.34	100
0 0 5	2.279	39.54	47
1 1 3	2.017	44.94	68
2 0 -4	1.919	47.38	26
0 2 0	1.427	65.38	11
2 0 6	1.425	65.50	10
3 1 -1	1.394	67.14	18
1 1 -7	1.386	67.58	16

=====

3.
The following is a computed powder diffraction line list of MgSc2GaPt4. It was derived from the PBE geometry in OQMD, using a wavelength of 1.5418 Å.

Atomic structure:
Cell lengths 4.5605, 4.5605, 6.4342 Å; angles 90.00, 90.00, 90.00 degrees
Sites, in units of the cell vectors:
Mg: 0.0000 0.0000 0.0000
Sc: 0.0000 0.0000 0.5000
Sc: 0.5000 0.5000 0.0000
Ga: 0.5000 0.5000 0.5000
- - -

• Outcome:
The following is a theoretical powder X-ray diffraction pattern of LiPmY2Tl4. It was derived from a GGA-PBE-relaxed structure, using Cu Kα.
Neutral-atom scattering factors, no anomalous dispersion.

Most intense lines, 2θ = 10–90°, sorted by position:
hkl 1 0 4, 23.6 deg, intensity 39; hkl 0 1 8, 33.2 deg, intensity 100; hkl 1 1 0, 34.0 deg, intensity 96; hkl 2 0 8, 48.3 deg, intensity 35; hkl 1 0 16, 58.8 deg, intensity 18; hkl 1 2 8, 60.4 deg, intensity 36; hkl 3 0 0, 60.9 deg, intensity 18; hkl 2 2 0, 71.6 deg, intensity 11; hkl 2 1 16, 79.9 deg, intensity 15; hkl 3 1 8, 81.3 deg, intensity 16

Crystal structure
```
data_LiPmY2Tl4
_space_group_name_H-M_alt 'R -3 m'
_space_group_IT_number 166
_space_group_name_Hall '-R 3 2"'
_cell_length_a 5.2706
_cell_length_b 5.2706
_cell_length_c 26.7392
_cell_angle_alpha 90.00
_cell_angle_beta 90.00
_cell_angle_gamma 120.00
loop_
_atom_site_label
_atom_site_fract_x
_atom_site_fract_y
_atom_site_fract_z
_atom_site_occupancy
Li1 0.0000 0.0000 0.0000 1
Pm1 0.0000 0.0000 0.5000 1
Y1 0.0000 0.0000 0.2550 1
Tl1 0.0000 0.0000 0.1219 1
Tl2 0.0000 0.0000 0.3723 1
```

~~~~~

1.
The following is a computed powder diffraction line list of In10PdSe10. It was derived from the PBE geometry in OQMD, using a wavelength of 1.5418 Å.

Atomic structure:
Cell lengths 12.0588, 12.5676, 7.7618 Å; angles 90.00, 90.00, 90.00 degrees
Sites, in units of the cell vectors:
In: 0.0000 0.0000 0.2372
In: 0.0000 0.0000 0.7628
In: 0.1196 0.4117 0.2518
In: 0.1196 0.4117 0.7482
In: 0.1458 0.7216 0.0000
In: 0.1632 0.6461 0.5000
In: 0.3368 0.1461 0.5000
In: 0.3542 0.2216 0.0000
In: 0.3804 0.9117 0.2518
In: 0.3804 0.9117 0.7482
In: 0.5000 0.5000 0.2372
In: 0.5000 0.5000 0.7628
In: 0.6196 0.0883 0.2518
In: 0.6196 0.0883 0.7482
In: 0.6458 0.7784 0.0000
In: 0.6632 0.8539 0.5000
In: 0.8368 0.3539 0.5000
In: 0.8542 0.2784 0.0000
In: 0.8804 0.5883 0.2518
In: 0.8804 0.5883 0.7482
Pd: 0.0000 0.5000 0.5000
Pd: 0.5000 0.0000 0.5000
Se: 0.0722 0.2702 0.0000
Se: 0.1114 0.1151 0.5000
Se: 0.1704 0.8253 0.2858
Se: 0.1704 0.8253 0.7142
Se: 0.2260 0.5323 0.0000
Se: 0.2740 0.0323 0.0000
Se: 0.3296 0.3253 0.2858
Se: 0.3296 0.3253 0.7142
Se: 0.3886 0.6151 0.5000
Se: 0.4278 0.7702 0.0000
Se: 0.5722 0.2298 0.0000
Se: 0.6114 0.3849 0.5000
Se: 0.6704 0.6747 0.2858
Se: 0.6704 0.6747 0.7142
Se: 0.7260 0.9677 0.0000
Se: 0.7740 0.4677 0.0000
Se: 0.8296 0.1747 0.2858
Se: 0.8296 0.1747 0.7142
Se: 0.8886 0.8849 0.5000
Se: 0.9278 0.7298 0.0000

Principal peaks in the range 2θ from 5° to 70°, low angle first:
hkl	d [Å]	2θ/deg	I (rel.)
2 2 1	3.795	23.44	21
2 3 0	3.439	25.91	33
1 2 2	3.185	28.02	100
4 1 0	2.932	30.49	29
0 4 1	2.912	30.70	25
4 2 0	2.720	32.92	20
3 3 2	2.323	38.77	38
1 5 2	2.078	43.55	41
5 1 2	2.022	44.83	38
0 0 4	1.940	46.82	30

=====

2.
The following is a computed powder diffraction line list of Cu2Ag3. It was derived from the PBE geometry in OQMD, using a wavelength of 1.5418 Å.

Atomic structure:
Cell lengths 4.7988, 2.8546, 11.4441 Å; angles 90.00, 95.22, 90.00 degrees
Sites, in units of the cell vectors:
Cu: 0.1012 0.0000 0.2917
Cu: 0.2069 0.5000 0.1110
Cu: 0.7931 0.5000 0.8890
Cu: 0.8988 0.0000 0.7083
Ag: 0.0000 0.5000 0.5000
Ag: 0.2756 0.0000 0.9126
Ag: 0.3994 0.5000 0.7075
Ag: 0.5000 0.0000 0.5000
Ag: 0.6006 0.5000 0.2925
Ag: 0.7244 0.0000 0.0874

Principal peaks in the range 2θ from 5° to 70°, low angle first:
hkl	d [Å]	2θ/deg	I (rel.)
1 0 -4	2.552	35.17	7
2 0 1	2.297	39.22	51
1 1 -2	2.290	39.34	100
0 0 5	2.279	39.54	47
1 1 3	2.017	44.94	68
2 0 -4	1.919	47.38	26
0 2 0	1.427	65.38	11
2 0 6	1.425	65.50	10
3 1 -1	1.394	67.14	18
1 1 -7	1.386	67.58	16

=====

3.
The following is a computed powder diffraction line list of MgSc2GaPt4. It was derived from the PBE geometry in OQMD, using a wavelength of 1.5418 Å.

Atomic structure:
Cell lengths 4.5605, 4.5605, 6.4342 Å; angles 90.00, 90.00, 90.00 degrees
Sites, in units of the cell vectors:
Mg: 0.0000 0.0000 0.0000
Sc: 0.0000 0.0000 0.5000
Sc: 0.5000 0.5000 0.0000
Ga: 0.5000 0.5000 0.5000